-- begin --
Record 1
The following is a PBE calculation of a relaxed structure of PuHfAuO6, from Alexandria via LeMat-Bulk.

Output
ρ: 9.1 g/cm³
ΔE_f (raw): -200.9 kJ/mol of atoms

abc: 5.5804 5.5804 9.6375
angles: 90.00 90.00 120.00
Space group P-31c (No. 163)
Symmetry-distinct sites (fractional):
Pu (0.3333, 0.6667, 0.2500) x2
Hf (0.3333, 0.6667, 0.7500) x2
Au (0.0000, 0.0000, 0.0000) x2
O (0.0071, 0.3702, 0.1393) x12

=====

Record 2
The following is a PBE calculation of a relaxed structure of Rb2HfAuO4, from Alexandria via LeMat-Bulk.

Output
ρ: 5.3 g/cm³
ΔE_f (raw): -149.1 kJ/mol of atoms

abc: 5.689 12.915 20.982
angles: 90.00 90.00 90.00
Space group Fddd (No. 70, origin choice 2)
Symmetry-distinct sites (fractional):
Rb (0.125, 0.125, 0.308) x16
Hf (0.125, 0.125, 0.125) x8
Au (0.125, 0.125, 0.625) x8
O (0.084, 0.280, 0.422) x32

~~~~~

VASP calculation (GGA-PBE) on an optimized crystal structure of Al3RhN.

For the uncorrected formation energy, the calculation gives 0.677 eV/atom. The calculation puts the total energy at -23.52 eV/cell.

The space group is Pm-3m (No. 221) and the conventional cell measures 4.682, 4.682 and 4.682 Å, with angles of 90.00, 90.00 and 90.00 degrees. The distinct sites, in fractional coordinates, are Al at (0.000, 0.000, 0.500), Rh at (0.000, 0.000, 0.000) and N at (0.500, 0.500, 0.500).
-- stop --

Now repeat the lines further up up to the one that holds "~~~~~", that line included.

Record 1
The following is a PBE calculation of a relaxed structure of PuHfAuO6, from Alexandria via LeMat-Bulk.

Output
ρ: 9.1 g/cm³
ΔE_f (raw): -200.9 kJ/mol of atoms

abc: 5.5804 5.5804 9.6375
angles: 90.00 90.00 120.00
Space group P-31c (No. 163)
Symmetry-distinct sites (fractional):
Pu (0.3333, 0.6667, 0.2500) x2
Hf (0.3333, 0.6667, 0.7500) x2
Au (0.0000, 0.0000, 0.0000) x2
O (0.0071, 0.3702, 0.1393) x12

=====

Record 2
The following is a PBE calculation of a relaxed structure of Rb2HfAuO4, from Alexandria via LeMat-Bulk.

Output
ρ: 5.3 g/cm³
ΔE_f (raw): -149.1 kJ/mol of atoms

abc: 5.689 12.915 20.982
angles: 90.00 90.00 90.00
Space group Fddd (No. 70, origin choice 2)
Symmetry-distinct sites (fractional):
Rb (0.125, 0.125, 0.308) x16
Hf (0.125, 0.125, 0.125) x8
Au (0.125, 0.125, 0.625) x8
O (0.084, 0.280, 0.422) x32

~~~~~